New banana variety gives Philippine growers "hope to rise again"

Some growers in the Philippine region of Davao are already taking to a new Panama Disease Tropical Race IV-resistant banana cultivar released by the country's Department of Agriculture (DA).

The GCTCV-119 banana. Photo: Australian Bananas Magazine.
In a release, the DA said the Giant Cavendish tissue-culture variant (GCTCV 219) was sweeter than the Grande Naine variety due to its significantly higher starch levels that convert into sugars during ripening, while it also had more titratable solids and fewer acids.
**Here the article breaks off for records of crystals**
********
# InGePd

An optimized crystal structure of InGePd (PBE, the Alexandria database).

Properties
E_tot	-4.285	eV per atom
formation energy	-102	meV per atom
total magnetization	0.00	μB/cell

abc: 4.3360 4.3360 3.6877
angles: 90.00 90.00 120.00
Space group P3m1 (No. 156)
Symmetry-distinct sites (fractional):
In (0.0000, 0.0000, 0.0000) (multiplicity 1)
Ge (0.3333, 0.6667, 0.4811) (multiplicity 1)
Pd (0.6667, 0.3333, 0.5690) (multiplicity 1)

=====

[1]
DFT (PBE) results for a relaxed KAu2Se crystal.

Geometry as extended XYZ:
```
4
Lattice="2.8957 0.0000 0.0000 0.0000 5.3677 0.0000 0.0000 0.0000 5.8066" Properties=species:S:1:pos:R:3 pbc="T T T"
K 0.0000 0.0000 0.0000
Au 0.0000 2.6838 2.9033
Au 1.4478 0.0000 2.9033
Se 1.4478 2.6838 0.0000
```

## Properties
- Symmetry: Pmmm, No. 47
- E_tot: -11.4 eV/cell


[2]
DFT (PBE) results for a relaxed KAu2Se crystal.

Geometry as extended XYZ:
```
4
Lattice="2.8438 0.0000 0.0000 0.0000 5.3678 0.0000 0.0000 0.0000 5.9416" Properties=species:S:1:pos:R:3 pbc="T T T"
K 0.0000 0.0000 0.0000
Au 1.4219 2.6839 1.4968
Au 1.4219 2.6839 4.4448
Se 0.0000 0.0000 2.9708
```

## Properties
- Symmetry: Pmmm, No. 47
- E_tot: -11.1 eV/cell


[3]
DFT (PBE) results for a relaxed KAuSe4 crystal.

Geometry as extended XYZ:
```
12
Lattice="2.9509 -5.6886 0.0000 2.9509 5.6886 0.0000 -1.5406 0.0000 11.0929" Properties=species:S:1:pos:R:3 pbc="T T T"
K 1.7954 4.5617 8.3197
K 2.5657 -4.5617 2.7732
Au 1.4754 2.8443 0.0000
Au 0.7051 -2.8443 5.5464
Se -0.0492 1.8748 8.7612
Se 0.7211 -1.8748 3.2148
Se 2.7380 0.7996 0.8900
Se 2.3934 0.7996 4.6564
Se 1.9677 -0.7996 6.4365
Se 1.6231 -0.7996 10.2029
Se 3.6400 1.8748 7.8781
Se 4.4103 -1.8748 2.3317
```

## Properties
- E above lowest polymorph: 0 meV/atom
- Symmetry: C2/c, No. 15


[4]
DFT (PBE) results for a relaxed KAuSe4 crystal.

Geometry as extended XYZ:
```
6
Lattice="0.0000 4.1526 4.1526 4.1526 0.0000 4.1526 4.1526 4.1526 0.0000" Properties=species:S:1:pos:R:3 pbc="T T T"
K 0.0000 0.0000 0.0000
Au 2.0763 2.0763 2.0763
Se 5.1801 3.1252 3.1252
Se 3.1252 5.1801 3.1252
Se 3.1252 3.1252 5.1801
Se 5.1801 5.1801 5.1801
```

## Properties
- E above lowest polymorph: 492 meV/atom
- Symmetry: F-43m, No. 216


[5]
DFT (PBE) results for a relaxed KAu2Se crystal.

Geometry as extended XYZ:
```
4
Lattice="3.0211 -5.8381 0.0000 3.0211 5.8381 0.0000 -1.3869 0.0000 2.5530" Properties=species:S:1:pos:R:3 pbc="T T T"
K 0.0000 0.0000 0.0000
Au 1.5106 2.9191 0.0000
Au 1.5106 -2.9191 0.0000
Se 3.0211 0.0000 0.0000
```

## Properties
- Symmetry: C2/m, No. 12
- E_tot: -11.3 eV/cell


[6]
DFT (PBE) results for a relaxed K4AuSe crystal.

Geometry as extended XYZ:
```
6
Lattice="0.0000 4.7338 4.7338 4.7338 0.0000 4.7338 4.7338 4.7338 0.0000" Properties=species:S:1:pos:R:3 pbc="T T T"
K 1.1768 1.1768 1.1768
K 3.5571 3.5571 1.1768
K 3.5571 1.1768 3.5571
K 1.1768 3.5571 3.5571
Au 4.7338 4.7338 4.7338
Se 7.1007 7.1007 7.1007
```

## Properties
- Symmetry: F-43m, No. 216
- E_tot: -11.2 eV/cell


[7]
********
The variety's acceptability for the international market was highlighted during a recent field day held at the Almocera Farm in Bagongon, Compostela Valley.
Research Farmer Cooperator Gilton Almocera said he would be harvesting the first batch of his GCTCV 219 variety in May.
"I thank the DA for extending its hand to us in addressing this problem. This has given banana farmers hope to rise again," Almocera said, adding he had lot millions of pesos from the infestation of Panama Disease - also known as Fusarium Wilt- in his four-hectare banana plantation.
DA-Region 11 Integrated Laboratories Division Dr. Susan Razo encouraged banana growers in the Davao Region to submit the necessary documents in order to acquire the tissue-cultured seedlings.
"After completion of the necessary documents, the beneficiaries will undergo training on how to grow the GCTCV 219 variety," Razo said.
The region has a total of PHP102 million (US$2.3 million) budgeted by the DA to fight Fusarium Wilt this year.
DA-Region 11 High-Value Crops Development Program coordinator Melani Provido said this budget was allotted due to the demand for appropriate interventions, such as control and management, regulatory measures and information dissemination.
"Agriculture Secretary Proceso Alcala prioritized the program to eradicate if not minimize the spread of the disease, which could compromise the country’s booming banana industry," Provido said.
A few drawbacks
Despite the cultivar's disease-resistant benefits, banana information-sharing service ProMusa said it did have some drawbacks such as a very tall pseudostem, a short fruit stalk, a long crop cycle, and few hands.
These crystal structures were left in the entry by mistake.
# 1
Material: Y2CdCu
Method: DFT, GGA-PBE
State: optimized geometry

- SG: No. 44

Structure (POSCAR):
```
Y2CdCu
1.0
-3.963 0.739 4.708
-5.277 -1.824 2.691
0.644 -3.296 3.767
Cu Cd Y
1 1 2
Direct
0.240 0.240 0.259
0.543 0.543 0.457
0.753 0.753 0.747
0.963 0.963 0.037
```

# 2
Material: Y2CdCu
Method: DFT, GGA-PBE
State: optimized geometry

- SG: No. 12

Structure (POSCAR):
```
Y2CdCu
1.0
-1.514 -0.896 3.304
-2.105 -3.082 0.290
5.795 -5.979 3.201
Y Cd Cu
2 1 1
Direct
0.511 0.511 0.467
0.989 0.989 0.033
0.750 0.750 0.750
0.250 0.250 0.250
```

# 3
Material: Y2CdCu
Method: DFT, GGA-PBE
State: optimized geometry

- SG: No. 47

Structure (POSCAR):
```
Y2CdCu
1.0
-2.061 -2.815 0.634
2.359 -2.088 -1.602
5.894 -3.182 5.030
Y Cu Cd
2 1 1
Direct
0.000 0.473 0.527
0.000 0.027 0.973
0.500 0.750 0.750
0.500 0.250 0.250
```

# 4
Material: Y6CdCu2
Method: DFT, GGA-PBE
State: optimized geometry

- SG: No. 71

Structure (POSCAR):
```
Y6CdCu2
1.0
8.042 -0.020 -2.878
-4.290 6.976 -2.427
-0.036 0.020 8.541
Cu Y Cd
4 12 2
Direct
0.500 0.619 0.119
0.500 0.381 0.881
0.648 0.000 0.648
0.352 0.000 0.352
0.697 0.019 0.322
0.900 0.717 0.184
0.804 0.240 0.044
0.100 0.283 0.816
0.804 0.760 0.564
0.303 0.981 0.678
0.467 0.283 0.184
0.697 0.375 0.678
0.303 0.625 0.322
0.533 0.717 0.816
0.196 0.760 0.956
0.196 0.240 0.436
0.000 0.500 0.500
0.000 0.000 0.000
```

# 5
Material: Y2CdCu2
Method: DFT, GGA-PBE
State: optimized geometry

- SG: No. 139

Structure (POSCAR):
```
Y2CdCu2
1.0
5.453 0.000 0.000
0.000 5.453 0.000
2.727 2.727 3.859
Y Cu Cd
2 2 1
Direct
0.250 0.750 0.500
0.750 0.250 0.500
0.645 0.645 0.710
0.355 0.355 0.290
0.000 0.000 0.000
```

# 6
Material: YCd2Cu
Method: DFT, GGA-PBE
State: optimized geometry
End of the crystal structures.
"In an evaluation trial conducted in the Philippines, its agronomic traits and yield were inferior to those of the Cavendish cultivar Grand Naine," said ProMusa, a platform managed by Bioversity International with funding from the Consultative Group for International Agricultural Research's (CGIAR) Research Program on Roots, Tubers and Bananas.
"It took longer to mature (233 days compared to 162 days on average) and had a lower bunch weight that resulted in a lower yield per crop cycle and per year. Although GCTCV-119 had more fingers per hand, these were shorter and thinner. As a result, fewer fruits met market standards.
"A greater hand curvature also resulted in more rejects when packed. On the other hand, the fruits of GCTCV-119 were sweeter than those of Grande naine."
A trial in northern Queensland, Australia found the GCTCV-119's longer cropping cycle was not compensated for by a heavier bunch, according to Australian Bananas Magazine.